This Ain't Dope

From this January to August, British Columbia has seen 488 fentanyl-related deaths, which is a massive increase in the number of deaths compared to the same period in 2015. What’s going on?
According to Statistics Canada, roughly 199 out of 207 fentanyl-related deaths studied in toxicology reports showed at least one other substance detected. In almost half of the deaths, cocaine was detected, while alcohol (36%), meth (34%), and heroin (30%), were also highly present in the findings. Now, these numbers might not mean much at first glance, but what they really signify is that a large proportion of these deaths aren’t as black and white as someone accidentally taking a lethal dosage of straight-up fentanyl.
...fentanyl, can depress the respiratory system, causing a user to ‘nod off’ and eventually stop breathing during an overdose.
Throughout the past months, we’ve heard stories of dozens of people scoring some coke, only to overdose on seemingly normal amounts; later finding out it was laced with fentanyl. Many of the people who are overdosing on fentanyl aren’t even aware that they are taking it because it has the potential to be cut into a plethora of other drugs (since it can be snorted, smoked, swallowed, and injected).

You might be wondering a couple things- why is fentanyl so deadly, and why the fuck would any rational dealer cut their other products with this drug?
## A
This record from the Open Molecules 2025 dataset describes the molecule C19H23NO5. The level of theory is the ωB97M-V functional and the def2-TZVPD basis.

The calculation puts the molar mass at 345.4 g/mol. As for the spin multiplicity: 1. The LUMO energy comes out at 0.082 eV.

Last column: natural (NBO) charge in e.
Atoms and positions in Å:
C: 2.6118 0.7039 -6.1729  -0.60
C: 2.5713 -0.4209 -5.1460  -0.40
C: 3.0425 0.0572 -3.7752  -0.38
C: 3.0272 -1.0656 -2.7265  -0.44
C: 1.6317 -1.5215 -2.4292  0.11
C: 1.1466 -2.6662 -2.9617  -0.35
C: -0.2081 -3.1292 -2.7471  0.74
O: -0.6814 -4.1417 -3.1997  -0.56
O: -1.0106 -2.3372 -1.9644  -0.47
C: -0.5586 -1.1936 -1.4080  0.43
C: -1.4576 -0.4829 -0.6253  -0.32
C: -1.0702 0.6999 -0.0080  0.34
O: -2.0266 1.3138 0.7350  -0.49
C: -1.7002 2.5009 1.4243  -0.17
C: -0.6319 2.3515 2.5140  0.66
O: 0.2732 3.1617 2.5985  -0.63
N: -0.7426 1.2946 3.3399  -0.43
C: -1.8361 0.3427 3.3655  -0.23
C: -2.0162 -0.1707 4.8065  -0.08
O: -1.8023 0.8657 5.7291  -0.52
C: -0.4521 1.2912 5.7595  -0.07
C: 0.2330 1.1174 4.3955  -0.26
C: 0.2375 1.1653 -0.1757  -0.33
C: 1.1232 0.4572 -0.9552  -0.14
C: 0.7579 -0.7313 -1.5959  -0.21
H: 1.9640 1.5228 -5.8677  0.20
H: 2.2775 0.3462 -7.1435  0.21
H: 3.6237 1.0894 -6.2790  0.20
H: 3.2093 -1.2413 -5.4821  0.19
H: 1.5517 -0.8039 -5.0683  0.20
H: 2.4042 0.8789 -3.4446  0.20
H: 4.0628 0.4379 -3.8607  0.21
H: 3.6060 -1.9093 -3.1058  0.22
H: 3.5044 -0.7123 -1.8108  0.22
H: 1.7528 -3.2999 -3.5898  0.23
H: -2.4620 -0.8518 -0.5000  0.24
H: -1.3562 3.2815 0.7349  0.21
H: -2.6364 2.8352 1.8829  0.22
H: -1.6318 -0.4986 2.6915  0.20
H: -2.7534 0.8332 3.0385  0.21
H: -3.0431 -0.5069 4.9572  0.21
H: -1.3400 -1.0136 5.0079  0.16
H: -0.4817 2.3441 6.0486  0.19
H: 0.1022 0.7268 6.5240  0.17
H: 0.6723 0.1184 4.3038  0.19
H: 1.0145 1.8656 4.2613  0.26
H: 0.5706 2.0717 0.3021  0.24
H: 2.1269 0.8349 -1.0646  0.22

## B
This record from the Open Molecules 2025 dataset describes the molecule C19H23NO5. The level of theory is the ωB97M-V functional and the def2-TZVPD basis.

The calculation puts the molar mass at 345.4 g/mol. As for the spin multiplicity: 1. The LUMO energy comes out at 0.541 eV.

Last column: natural (NBO) charge in e.
Atoms and positions in Å:
C: -3.0940 -0.0401 -1.1446  -0.61
C: -3.2676 -1.1681 -0.1334  -0.41
C: -1.9860 -1.9806 0.1340  0.13
C: -2.2679 -3.0312 1.2127  -0.62
C: -1.4730 -2.6639 -1.1327  -0.62
N: -0.9274 -1.0887 0.5997  -0.64
C: -0.9809 -0.3155 1.6892  0.69
O: -1.8769 -0.2730 2.5042  -0.63
C: 0.2441 0.6209 1.7997  0.00
O: 1.4023 -0.1004 1.3837  -0.50
C: 2.5322 0.6083 1.2255  0.76
O: 2.6564 1.7741 1.4959  -0.56
C: 3.5849 -0.2519 0.6710  0.13
C: 3.5578 -1.5744 0.2960  -0.23
C: 4.8482 -1.8695 -0.1844  -0.33
C: 5.5611 -0.7097 -0.0682  0.12
O: 4.8098 0.2645 0.4430  -0.36
C: -0.0668 1.8390 0.9632  -0.11
C: -0.6660 2.9303 1.5715  -0.11
C: -1.0140 4.0539 0.8438  -0.25
C: -0.7494 4.0945 -0.5112  -0.19
C: -0.1532 3.0146 -1.1392  -0.29
C: 0.1806 1.8763 -0.4175  0.31
Firstly, for anyone who doesn’t know much about fentanyl, it is a synthetic opiate which primary pharmaceutical purpose is to manage pain (similarly to morphine and oxycodone). However, fentanyl is roughly 100 times more powerful than morphine, and 50 times more powerful than heroin. You can then imagine how small the lethal dosage might be, especially for someone who has never exposed his or her body to another opiate or has little tolerance to this class of drugs.
Right now is probably not the best time to be dabbling in substances...
Too much of any downer, such as fentanyl, can depress the respiratory system, causing a user to ‘nod off’ and eventually stop breathing during an overdose. What’s worse is that naloxone, which is the treatment used to reverse opioid overdose effects, has a half-life of 30 to 81 minutes while fentanyl has a half-life of anywhere from 3 to 6 hours depending on how it is taken. This means that administering one dosage of naloxone might not be enough to save a life because the fentanyl will still be highly present in an individual by the time the naloxone wears off.

Fentanyl is more frequently getting cut into other drugs, such as cocaine, but doesn’t the risk of killing many of your customers seem like an inherently bad idea for business? Why would you, as a dealer, decide to cut your product with this? Well, for one, it increases potency for less cost. The majority of fentanyl on the street is non-pharmaceutical, meaning it is probably made in a dusty lab somewhere with zero quality control. This also means it is super cheap and readily available, leading to more expensive drugs, like cocaine, to be cut with this cheaper product while providing a high potency. Unfortunately, many dealers cutting with fentanyl are simply unequipped to measure a safe amount of fentanyl to add to their other products.
Right now is probably not the best time to be dabbling in substances, but at the least, people should be aware of symptoms of an opioid overdose, such as tiny pupils, decreased breathing, and unconsciousness. Always call 9-1-1 if you think someone is overdosing. British Columbia Harm Reduction offers naloxone training and take-home kits, and the province has even made naloxone available without prescription. This means anyone can get it from a pharmacy and potentially save a friend or family member’s life.